Status: This is a work in progress, so even though I have about 30 parts written already (the length of each will vary), I will only post once or twice a week until I have it all completely figured out. Sharing this and getting feedback is my motivation!


Chapter 18

Fun, exercise and sugar helped keep everything that had upset Frank out of his mind for a while. It felt good, so he didn't want it back in there. He didn't want to talk about it, just to let it go.

It was no surprise when he got home one hour later than he should have and yet his mother didn't scold him. He'd known she would feel guilty, and for a few seconds, it gave Frank certain satisfaction. When he dispatched her overly affectionate question about whether he'd had fun with a dry "Yes," his mom clearly understood that he was still mad. 

She then tried apologizing, telling Frank that her stupid friends were just getting on her nerves and she hadn't meant what he heard; that she also didn't expect him him to be like Ray. None of that changed Frank's attitude, who walked past her and towards the stairs with an "It's okay, forget it." It wasn't okay, but forgetting it was what he planned to do, so his mom might as well do the same.

It wasn't long until his dad knocked on the door of his room, wanting to know what had happened between him and Linda. Frank couldn't tell if the man honestly had no idea, or he just wanted to hear his side of the story. Either way, the only answer Anthony got was another "Forget it, it's okay."

Thinking sleep was a good way to force oblivion, Frank went to bed without dinner.


Everybody acted like nothing had happened the next day, probably because Frank's family knew that was what he preferred. Frank tried to keep the interaction to a minimum anyway, wanting to avoid painful conversations.

He spent most part of Sunday having a Snowboard Kids 2 battle with his brother. Although Ray said his friends had all deserted him, Frank had the feeling that he'd stayed home for him. The older never asked anything, but obviously knew something had happened the previous day. Frank would be lying if he didn't admit he took some of his remaining anger on his brother snowboarder, hitting him with everything he got. It was therapeutic.


If Frank was hoping for at least a calm day at school on Monday, though, life disappointed him once again. 

He was reaching the bathroom in between classes when he heard muffled screams coming from inside. Just then the door was kicked open, almost hitting him in the face, and out came Steve looking smug. He only gave Frank a smirk before walking away.

Rushing in, Frank found Brandon and Adam's younger brother Zach curled up against the wall. His left eye was swelling up and his lip was split open, blood staining his light blue t-shirt. He looked up at Frank with an expression that fell somewhere between embarrassment and pure fear as he whispered, "But I'm not even gay..." 

When Frank knelt down and asked if he was okay, all Zach did was beg him not to tell his brothers; Steve was their friend, he said. Frank thought that was more of a reason to tell them, but then the kid confessed that his siblings would be out of the team if he spoke. He had been threatened with that.

Nothing made sense to Frank. He hadn't been around those two boys long enough to figure them out. They seemed nice, but he couldn't understand how they didn't already know their brother was one more victim. Sure, their friends didn't beat Zach up as often as they did other kids -and it had never been this bad before; but didn't they put two and two together the times it did happen? Was Zach that good at hiding it? 

Frank didn't waste any time voicing that, anyway. He made a mental note to open the two older Phillips' eyes later -no matter the consequences- and instead helped Zach up and took him to the school nurse.

After they both argued with the woman to convince her to not call Zach's brothers, Frank left the boy there and returned to the bathroom. He was already very late for the current class so it was pointless to go, and his bladder was still painfully full.

While he was doing his thing, he heard someone open the door. He stiffened and even held his pee in for some seconds, listening for any new sign of violence. It was silent.

Frank left the bathroom stall and took a brief look around, confused as to where the person he'd heard opening the door a minute ago had gone. The rest of the stalls were obviously empty, since no door was closed.

Shrugging it off he went to the sink. Entertained as he was washing his hands thoroughly, he didn't glance up at the mirror until he was done. He then saw James, standing awkwardly near the entrance. When Frank turned around to face him, the boy got visible nervous, shifted his weight from foot to foot and looked down.  

"Are you alright, J?" Frank asked, getting closer.

"I...yeah. I was waiting for you, actually." James' voice sounded strange and low to the point that it was hard to hear him. That was definitely not normal. The guy was one of the loudest people in the school.

"While you should be in class? How did you...?"

"I was going to my locker for something I forgot and saw you enter the bathroom and I thought..." James took a deep breath and, instead of finishing what he was saying, he gently pushed Frank against the opposite wall.

The younger boy frowned, lost with his friend's odd behavior. They hadn't fought, there had been no trouble between them. Had Matt forced James into beating him up? Was he going to hurt him? He felt like he should be covering his face, but the way James was looking into his eyes kept him nailed in place. "What are you..."

"Just..." James gave up on fulfilling Frank's doubts with words. He placed an open hand on his friend's cheek and kissed him by surprise. A little peck on the lips followed by an expectant look.

Frank had flailed for a second but then froze. Many questions in his mind. Many certainties too. Mostly, he was sure he felt nothing beyond the friendly level for James. But he was a teenager, and his traitorous hormones were freaking out, and his only working brain cell at the moment was screaming, "Oh My God, Frankie, you got your first fucking kiss!"

"I really like you, Frankie." James must have mistaken Frank's lack of reaction for approval because, before he had the chance to say anything, there were lips on his again. 

And Frank had no reason to be kissing James, and he knew he had to tell him that he wasn't interested. But...hormones; they liked it. It was their fault that Frank found himself kissing back. Or at least trying to. He had only practiced on his hand while he and Marina would fantasize about how their first kiss should be. She had suggested that they practiced with each other, but Frank had made a disgusted face and refused.

Now, James' lips were nothing like Frank's hand. They were far softer and warmer and fitting. To make it worse, they tasted like watermelon bubblegum. But as much as they were enjoyable lips to kiss, Frank forced himself to remember that he didn't like their owner like that.

"" He pushed him apart apologetically.

"I'm sorry I...that was too much, right? But-"

"No it's not! Or...yeah, but..." Frank gulped. He didn't want to hurt James. "What I...what I wanted to say is...I don't like you that way. You're a great friend, funny and awesome and kind but...sorry."

"Oh." James looked at his feet, disappointed. "Sorry, I thought... kissed back?"

Frank blushed with shame. " was kind of my first kiss, and I was confused and a little bit excited and...I didn't realize what I was doing? Sorry to get your hopes up, J." He gave a sad smile.

James opened his eyes comically big. "What the galactic fuck? How come it was your first kiss? You're so pretty!" he blunted out, looking embarrassed right after. "I mean...uh...fuck, I'd have never thought...I...otherwise I wouldn't have done it this way. Fuck, I'm an idiot, I ruined your first kiss."

Frank felt his heart ache a little. He hadn't thought of it that way. He still didn't think of it that way. "No! No, you didn't. It was...yeah, surprising and you should have maybe asked me first if I was interested? But...I was the one who kissed you back, right? was actually nice. Not like it's really useful coming from someone with no other experience but...I think you might be a good kisser. You'll do good when you...find someone that, you know, likes you back the same way." He patted James' shoulder.

"Really? You...sure you don't wanna try?"

Frank shook his head. "Sorry. I still want to be your friend, though. Do you think you can?"

"Y-yeah, sure. I swear I won't make it weird for you."

"Thanks for saying I'm pretty, by the way."

"You are," James remarked. "So, do you have someone in mind? I mean, do you like someone?" 

Frank thought for a while, although he had no idea why he needed to think. "Nah, not looking for a boyfriend for now. You're gay, then? My gaydar kinda caught something at a point, but I thought it was just your weirdness that confused it, or that the alien signals communicating with you had affected it."

James snorted. "Very funny, Frank. I'm bi, but I never...oh my God. Oh my god, oh my god, oh my god," he started chanting as he spaced out.


"They can't know!"

"Who?" Frank grabbed James' sleeve and shook him.

"The football team!"

Frank raised his eyebrows. "Are you kidding me, James? You don't fear them. Come on, you could kick Matt's ass if you wanted."

"Maybe.'s not that kind of fear. It's like...a rule for them, you know? Sure, it's a stupid, discriminatory one, but those assholes made it. spite of them I love the team, I love playing. And I'm not exactly among the best players. If they found out I like guys too, and especially that I kissed you, pretty sure they'd find a way to get me kicked out."

"That makes no sense..."

"I know but please, Frankie, don't let anyone know..." James was pleading on his knees now, hands pressed together against his mouth and little eyes peeping up through some stray locks of hair.

"Uh...James, get the fuck off the floor. We're in the bathroom, it's gross," Frank squeaked out nervously. 

The situation had gone from weird to weirder. Or well, maybe this wasn't weirder than having one of your new best friends who was part of the football team kiss you; but it was still pretty uncomfortable. Frank felt bad for James. The fact that he had to be so worried about the team finding out he was bi was just wrong. No one should have to worry about their sexual orientation interfering with the things they loved. 

Frank wasn't going to tell anyone. He had no reason to. He'd never out someone who wasn't ready. However, seeing James beg, seemingly sure that he was thinking of telling, had given Frank an idea. 

It was a nasty idea that made him feel guilty just by considering it. He tried to push it away as he remembered that they should really go to their respective classes. was a possibility, and the purpose was noble. It could make him lose a friend -he hoped not- but it could also contribute to keep many kids safe.

"Frankie?" James was looking at Frank from above again, fear still written all over his face and gestures. He wouldn't leave the bathroom until being sure that his secret wouldn't be revealed. "What are you thinking? Please..."

Frank felt like the biggest asshole. He was going to use his friend. His friend who liked him as more than a friend and had maybe had his heart broken by his rejection, to start with. "I'll...make a deal with you."

"What do you mean?"

"I won't tell anyone if..." Frank had to stop to mentally reassure himself that it was for a good cause. "...if you stop the guys from hurting any kid."

James' mouth fell open and he swept the hair off his face, inspecting Frank's. He probably expected it to be a joke and was searching for signs of amusement. "Are you serious?"

"Very." Frank nodded. No matter how noble the reason, right now he felt like he was going to hell. He had to bring back Zach's terrified face from a moment ago to stay firm in his decision.

"'s not fair! I'm your friend, Frank. I just told you that I like you and now you're blackmailing me? Holy shit, kid. I can't!"

Frank thought of a way to defend his idea. "Yes, you can! You're stronger than them, I'm pretty sure many of them fear you."

James rubbed his forehead, sighting. "Didn't I ever tell you? They don't fear me. They don't fight me over things like sitting with Gerard 'cause my cousin has a bar and lets them drink though they're underage. But they wouldn't let this pass."

"Oh." Frank was about to change his mind at this point; maybe the plan wouldn't work. "No, I didn't know. I still think you can kick their asses if needed."

"Frank...fucking please."

"Don't think of this as blackmailing," the boy resumed the argument, "just a friendly push to help you fight for your rights. You're one of us, after all!"

"I am. That's why you wouldn't rat me out," James stated.

And no, Frank wouldn't. He only needed him to think otherwise. "I don't believe anything like you imagine would happen if I told them. I'd be doing you a favor. Anyway, I won't as long as I don't see any kid getting hurt."

James seemed confused. "I...fuck, I can't even get mad at you! I admire you for caring so much about those kids and know... But how do I stop the guys?"

"I don't know, just...threaten them with making them try their own medicine?" Frank scratched his scalp, thinking. "Or tell them your cousin hates homophobes and there will be no alcohol if-"

********
Material: Bi2Te2WO10
Method: DFT, PBE with a Hubbard U
State: optimized geometry

Properties
DFT formation energy = -1772 meV per atom

CIF file:
```
data_Bi2Te2WO10
_space_group_name_H-M_alt 'C 1 2/c 1'
_space_group_IT_number 15
_cell_length_a 12.686
_cell_length_b 5.708
_cell_length_c 12.481
_cell_angle_alpha 90.00
_cell_angle_beta 91.24
_cell_angle_gamma 90.00
loop_
_space_group_symop_operation_xyz
'x,y,z'
'-x,-y,-z'
'-x,y,-z+1/2'
'x,-y,z+1/2'
'x+1/2,y+1/2,z'
'-x+1/2,-y+1/2,-z'
'-x+1/2,y+1/2,-z+1/2'
'x+1/2,-y+1/2,z+1/2'
loop_
_atom_site_label
_atom_site_fract_x
_atom_site_fract_y
_atom_site_fract_z
_atom_site_occupancy
Bi1 0.091 0.242 0.043 1
Te1 0.191 0.267 0.359 1
********

"My cousin's worse than them."

"Well, shit." Frank waved his hands desperately. He was running out of things to say. "Then just tell them you can make your cousin stop the benefits!" 

For a moment he thought James would finally tell him to fuck off, but resignation took up the boy's features and he said, "Okay. I also need an excuse for suddenly being actively interested in the cause, don't you think?"

"Nope. They obviously know you're against what they do, and that you're my friend now. That's enough."

"I don't-"

"Gotta go or I'll miss the next class too. it the way you think best, okay?" Frank smiled innocently and used James' shoulders as support to prop himself up and kiss his cheek. "And we're still friends, don't worry. Good luck!"
♠ ♠ ♠
First, I hope you all read the previous chapter! I didn't update before 'cause i was, again, waiting for someone to comment on a forum where I'm not allowed to "double post". But I'm done waiting.

This one is much longer than what I've been posting lately, and it'll hopefully give you more to comment about!